Hogan Lovells to Support Upcoming Tech Startups in Collaboration with Afritech XYZ, Novartis, and Citibank

Global law firm Hogan Lovells has collaborated with Afritech XYZ, and clients Novartis and Citibank to provide pro bono legal advice to a group of award-winning social entrepreneurs.
┌──
Entry 1:
This entry pairs a crystal structure of V9GaSiGe with its calculated powder X-ray diffraction pattern. Radiation: Cu Kα X-rays. Structure: the GGA-PBE geometry in Alexandria.
Kinematic intensities with the Lorentz-polarization factor, no thermal factor.

Principal peaks in the range 2θ from 5° to 70°, low angle first:
- (0 0 1), 2θ 6.2, d = 14.255 Å, I 8
- (0 1 2), 2θ 22.5, d = 3.950 Å, I 3
- (1 1 1), 2θ 27.3, d = 3.266 Å, I 2
- (0 2 0), 2θ 37.9, d = 2.376 Å, I 28
- (2 0 0), 2θ 38.0, d = 2.370 Å, I 14
- (2 0 3), 2θ 42.6, d = 2.123 Å, I 100
- (1 2 3), 2θ 46.9, d = 1.938 Å, I 90
- (2 2 6), 2θ 68.5, d = 1.370 Å, I 5

Crystal structure
```
data_V9GaSiGe
_symmetry_space_group_name_H-M 'P m m 2'
_symmetry_Int_Tables_number 25
_cell_length_a 4.739
_cell_length_b 4.751
_cell_length_c 14.255
_cell_angle_alpha 90.00
_cell_angle_beta 90.00
_cell_angle_gamma 90.00
loop_
_symmetry_equiv_pos_as_xyz
'x,y,z'
'-x,-y,z'
'-x,y,z'
'x,-y,z'
loop_
_atom_site_label
_atom_site_fract_x
_atom_site_fract_y
_atom_site_fract_z
V1 0.000 0.000 0.000
V2 0.000 0.000 0.162
V3 0.000 0.000 0.330
V4 0.000 0.000 0.498
V5 0.000 0.000 0.668
V6 0.000 0.000 0.833
V7 0.244 0.500 0.245
V8 0.246 0.500 0.582
V9 0.255 0.500 0.919
V10 0.500 0.247 0.753
V11 0.500 0.249 0.416
V12 0.500 0.255 0.078
Ga1 0.500 0.000 0.247
Ga2 0.500 0.000 0.584
Si1 0.000 0.500 0.081
Si2 0.500 0.000 0.916
Ge1 0.000 0.500 0.414
Ge2 0.000 0.500 0.751
```

***

Entry 2:
This entry pairs a crystal structure of Li6TlSb5 with its calculated powder X-ray diffraction pattern. Radiation: Cu Kα X-rays. Structure: the GGA-PBE geometry in Alexandria.
Kinematic intensities with the Lorentz-polarization factor, no thermal factor.

Principal peaks in the range 2θ from 5° to 70°, low angle first:
- (0 2 0), 2θ 20.9, d = 4.251 Å, I 80
- (2 0 1), 2θ 27.8, d = 3.210 Å, I 79
- (2 2 1), 2θ 35.0, d = 2.561 Å, I 100
- (2 0 -2), 2θ 39.4, d = 2.287 Å, I 18
- (6 0 0), 2θ 40.0, d = 2.252 Å, I 17
- (2 2 -2), 2θ 45.0, d = 2.014 Å, I 21
- (6 2 0), 2θ 45.6, d = 1.990 Å, I 20
- (2 4 1), 2θ 51.6, d = 1.772 Å, I 28

Crystal structure
```
data_Li6TlSb5
_symmetry_space_group_name_H-M 'C 1 2/m 1'
_symmetry_Int_Tables_number 12
_cell_length_a 14.257
_cell_length_b 8.501
_cell_length_c 4.575
_cell_angle_alpha 90.00
_cell_angle_beta 108.59
_cell_angle_gamma 90.00
loop_
_symmetry_equiv_pos_as_xyz
'x,y,z'
'-x,-y,-z'
'-x,y,-z'
'x,-y,z'
'x+1/2,y+1/2,z'
'-x+1/2,-y+1/2,-z'
'-x+1/2,y+1/2,-z'
'x+1/2,-y+1/2,z'
loop_
_atom_site_label
_atom_site_fract_x
_atom_site_fract_y
_atom_site_fract_z
Li1 0.000 0.238 0.000
Li2 0.171 0.245 0.672
Tl1 0.000 0.500 0.500
Sb1 0.000 0.000 0.500
Sb2 0.165 0.500 0.165
Sb3 0.172 0.000 0.173
```

***

Entry 3:
This entry pairs a crystal structure of Re2Ni8Ir with its calculated powder X-ray diffraction pattern. Radiation: Cu Kα X-rays. Structure: the GGA-PBE geometry in Alexandria.
Kinematic intensities with the Lorentz-polarization factor, no thermal factor.

Principal peaks in the range 2θ from 5° to 70°, low angle first:
└──
So much for the crystal structures =
In October 2020, Novartis reached out to the firm about the possibility of collaborating on a global pro bono project focused on Africa. This led to a workshop with HL BaSE Catalyst and AfriTech XYZ.
Afritech XYZ, an initiative run by Do it Now Now, works with African tech entrepreneurs and provides them with the mentoring and networks they need to build tech that will contribute to a better future for Africa. HL BaSE Catalyst is a programme of pro bono support for social enterprises provided by volunteers from Hogan Lovells and in-house counsel. The HL BaSE Catalyst workshop provided four innovative tech start-ups across Africa with pro bono legal advice in order to support them in tackling some of the challenges we face today, including employment, food security, and biodiversity loss.
“We are pleased to have showcased our work with Afritech XYZ. The collaboration provided an opportunity to address some of the challenges that local businesses in Africa face. Our support and shared value approach highlight the firm’s global commitment to playing a leadership role in driving inclusive and sustainable growth compelling positive change through pro bono and community investment activity.”
Ina Brock, Global Managing Partner for Clients and Industries
“Thanks to volunteers from Citibank, Novartis and Hogan Lovells, Afritech XYZ, our virtual accelerator to support African Tech Entrepreneurs, is making a massive difference across the continent. Africa is the next frontier.”
_What comes next are data records, not part of the piece_
┌──
Entry 1:
This entry pairs a crystal structure of Cu7Pb with its computed powder diffractogram. Radiation: Cu Kα. Structure: DFT lattice parameters and positions (PBE).

Structural model:
a b c (Å): 2.782 3.383 30.992
angles (deg): 90.00 90.00 90.00
Space group Pmmn (No. 59, origin choice 2)
Unique sites:
Cu (0.250, 0.250, 0.021)
Cu (0.250, 0.250, 0.104)
Cu (0.250, 0.250, 0.186)
Cu (0.250, 0.250, 0.268)
Cu (0.250, 0.250, 0.772)
Cu (0.250, 0.250, 0.855)
Cu (0.250, 0.250, 0.938)
Pb (0.250, 0.250, 0.668)

Principal peaks in the range 2θ = 5–70°, low angle first:
h k l, 2theta, I (rel.)
0 0 2, 5.70, 100.0
0 0 3, 8.56, 26.3
0 0 6, 17.17, 7.5
0 1 8, 35.22, 6.2
0 1 11, 41.72, 11.3
1 1 0, 42.05, 33.6
0 1 12, 44.12, 15.6
1 0 11, 45.84, 8.5
1 0 12, 48.07, 12.0
0 2 0, 54.24, 8.4


Entry 2:
This entry pairs a crystal structure of Cu9Pb with its computed powder diffractogram. Radiation: Cu Kα. Structure: DFT lattice parameters and positions (PBE).

Structural model:
a b c (Å): 2.730 3.395 37.776
angles (deg): 90.00 90.00 90.00
Space group Pmmn (No. 59, origin choice 2)
Unique sites:
Cu (0.250, 0.250, 0.017)
Cu (0.250, 0.250, 0.084)
Cu (0.250, 0.250, 0.152)
Cu (0.250, 0.250, 0.219)
Cu (0.250, 0.250, 0.287)
Cu (0.250, 0.250, 0.746)
Cu (0.250, 0.250, 0.814)
Cu (0.250, 0.250, 0.882)
Cu (0.250, 0.250, 0.950)
Pb (0.250, 0.250, 0.660)

Principal peaks in the range 2θ = 5–70°, low angle first:
h k l, 2theta, I (rel.)
0 0 3, 7.02, 86.6
0 0 6, 14.07, 20.4
0 1 11, 37.24, 14.7
1 1 0, 42.49, 100.0
0 1 14, 42.80, 57.2
0 1 15, 44.81, 26.3
1 0 14, 47.37, 35.4
1 0 15, 49.21, 23.8
0 2 0, 54.02, 23.8
2 0 0, 68.79, 13.5


Entry 3:
This entry pairs a crystal structure of Cu15Pb with its computed powder diffractogram. Radiation: Cu Kα. Structure: DFT lattice parameters and positions (PBE).

Structural model:
a b c (Å): 3.614 3.618 41.896
angles (deg): 90.00 90.00 90.00
Space group Pmma (No. 51)
Unique sites:
Cu (0.250, 0.000, 0.021)
Cu (0.250, 0.000, 0.106)
Cu (0.250, 0.000, 0.192)
Cu (0.250, 0.000, 0.278)
Cu (0.250, 0.000, 0.682)
Cu (0.250, 0.000, 0.765)
Cu (0.250, 0.000, 0.851)
Cu (0.250, 0.000, 0.936)
Cu (0.250, 0.500, 0.064)
Cu (0.250, 0.500, 0.149)
Cu (0.250, 0.500, 0.235)
Cu (0.250, 0.500, 0.722)
Cu (0.250, 0.500, 0.808)
Cu (0.250, 0.500, 0.894)
Cu (0.250, 0.500, 0.979)
Pb (0.250, 0.500, 0.345)

Principal peaks in the range 2θ = 5–70°, low angle first:
h k l, 2theta, I (rel.)
0 0 3, 6.33, 60.0
0 0 6, 12.68, 12.9
1 1 5, 36.75, 10.6
0 1 13, 37.40, 9.1
1 1 8, 39.21, 15.2
1 1 9, 40.24, 9.6
1 1 11, 42.59, 100.0
1 1 12, 43.89, 74.0
2 0 0, 50.48, 58.5
0 0 24, 52.41, 14.3


Entry 4:
This entry pairs a crystal structure of Cu15Pb with its computed powder diffractogram. Radiation: Cu Kα. Structure: DFT lattice parameters and positions (PBE).

Structural model:
a b c (Å): 7.008 2.639 34.058
angles (deg): 90.00 90.03 90.00
Space group P2_1/m (No. 11)
Unique sites:
Cu (0.121, 0.250, 0.168)
Cu (0.124, 0.250, 0.093)
Cu (0.125, 0.250, 0.018)
Cu (0.125, 0.250, 0.793)
Cu (0.125, 0.250, 0.870)
└──
Bayo Adelaja, Founder and Chief Do-er of Do It Now Now
The firm worked with social enterprise Giving Back Films, a carbon neutral film production company to make the video. As part of the project Giving Back Films gave each of the start-ups training on the best way to showcase their sustainability journey and create impactful content.
Materials data, as found in the file.
____________
Simulated XRD peak list
Compound: Mn6O5F7
Radiation: Cu Kα, 1.54184 Å
Structure: DFT lattice parameters and positions (PBE+U)

Crystal structure
```
Mn6O5F7
1.0
4.715 0.000 0.000
0.142 5.719 0.000
0.175 0.508 7.900
Mn O F
6 5 7
Cartesian
0.000 0.000 0.000
0.170 2.237 5.292
2.386 3.273 7.849
2.458 4.994 5.327
2.327 0.967 2.438
4.576 4.033 2.731
0.958 0.562 6.069
1.517 3.472 6.188
1.373 1.202 0.738
3.849 3.777 4.547
3.887 5.653 1.751
0.949 4.030 0.959
0.972 2.206 3.338
1.545 5.071 3.421
3.246 2.763 1.666
3.259 0.907 4.360
3.496 4.913 7.242
3.817 2.068 7.025
```

Largest 10 diffraction maxima, by intensity, 2θ from 15° to 90°:
26.14°, d 3.409, rel. 100.0, (1 1 1)
27.01°, d 3.301, rel. 91.3, (-1 1 1)
34.07°, d 2.632, rel. 48.9, (0 2 -1)
34.15°, d 2.626, rel. 26.5, (1 -1 2)
52.29°, d 1.750, rel. 26.4, (1 -3 0)
34.26°, d 2.617, rel. 24.9, (1 1 -2)
65.72°, d 1.421, rel. 20.7, (0 4 1)
58.52°, d 1.577, rel. 18.3, (0 2 -4)
39.51°, d 2.281, rel. 17.8, (1 -2 1)
53.78°, d 1.704, rel. 16.7, (2 2 2)

* * * * *

Record 1
For TmGaIrRh, a structure optimized by DFT (GGA-PBE) gives the computed PXRD pattern in this record (a wavelength of 1.5418 Å).
No peak broadening, texture or thermal motion is included.

```
data_TmGaIrRh
_cell_length_a 3.5414
_cell_length_b 4.2622
_cell_length_c 4.3716
_cell_angle_alpha 90.00
_cell_angle_beta 90.00
_cell_angle_gamma 90.00
_space_group_name_H-M_alt 'P m m m'
_space_group_IT_number 47
loop_
_space_group_symop_operation_xyz
'x,y,z'
'-x,-y,-z'
'-x,-y,z'
'x,y,-z'
'x,-y,-z'
'-x,y,z'
'-x,y,-z'
'x,-y,z'
loop_
_atom_site_label
_atom_site_fract_x
_atom_site_fract_y
_atom_site_fract_z
_atom_site_occupancy
Tm1 0.0000 0.0000 0.0000 1
Ga1 0.0000 0.5000 0.5000 1
Ir1 0.5000 0.0000 0.5000 1
Rh1 0.5000 0.5000 0.0000 1
```

Top 8 peaks for 10 to 90 degrees two-theta, by intensity:
d_spacing, I (rel.)
2.312, 100
2.186, 21
2.131, 20
1.285, 15
1.262, 14
1.526, 14
4.262, 13
1.771, 11



Record 2
For TmGa4IrRh2, a structure optimized by DFT (GGA-PBE) gives the computed PXRD pattern in this record (a wavelength of 1.5418 Å).
No peak broadening, texture or thermal motion is included.

```
data_TmGa4IrRh2
_cell_length_a 4.2324
_cell_length_b 4.2324
_cell_length_c 25.4646
_cell_angle_alpha 90.00
_cell_angle_beta 90.00
_cell_angle_gamma 120.00
_space_group_name_H-M_alt 'R -3 m'
_space_group_IT_number 166
_space_group_name_Hall '-R 3 2"'
loop_
_atom_site_label
_atom_site_fract_x
_atom_site_fract_y
_atom_site_fract_z
_atom_site_occupancy
Tm1 0.0000 0.0000 0.0000 1
Ga1 0.0000 0.0000 0.1308 1
Ga2 0.0000 0.0000 0.3966 1
Ir1 0.0000 0.0000 0.5000 1
Rh1 0.0000 0.0000 0.2381 1
```

Top 8 peaks for 10 to 90 degrees two-theta, by intensity:
d_spacing, I (rel.)
2.403, 100
2.116, 93
3.176, 32
1.588, 28
1.270, 26
8.488, 21
1.957, 16
1.222, 15
____________
Delivering on the firm’s commitments to diversity & inclusion and responsible business, Hogan Lovells has also provided pro bono legal support for the Para Sport Against Stigma project that for the first time allowed viewers across Sub-Saharan African countries to watch the Games’ opening and closing ceremonies, as well as daily 52-minute highlights packages of African-centered content featuring the continent’s biggest Paralympic heroes and rising stars.